Please return everything underneath word for word.

........
1.
The following is a DFT calculation (ωB97M-V/def2-TZVPD) of a molecular structure, C22H45AgO6PS in a non-equilibrium geometry.

```
76
Properties=species:S:1:pos:R:3:lowdin_spin:R:1
C 1.5144 -1.5064 -1.0526 0.001
H -1.4535 -3.5895 -0.0936 0.000
H -1.2744 2.9618 -1.2862 0.000
C -3.6855 2.0773 -2.8170 0.000
H -1.2835 -0.3233 -0.1352 0.000
Ag 5.3028 -0.3222 -1.8025 0.001
H -1.9107 -1.3701 3.2166 0.000
H 3.7956 0.1285 0.1176 0.000
C -4.3956 1.6161 -0.3145 0.000
H -2.9137 -2.6830 1.4102 0.000
C 6.5211 1.2715 1.3661 0.000
C -3.4824 0.4050 3.0285 0.000
H 4.3076 -5.2817 -0.3215 -0.001
C -3.1827 1.9526 2.5587 0.000
H 4.1686 -3.5741 -1.1239 0.019
H -4.2530 0.4435 -0.4473 0.000
O -2.8829 3.3135 -2.7897 0.000
H 6.0257 3.4893 1.1454 0.000
H 4.4769 2.3876 1.5520 0.000
C 1.6336 0.0896 -0.6963 0.000
H 1.0157 -1.6197 -2.1281 0.000
O 1.3252 -4.2730 -2.7397 0.179
H 6.0513 0.6740 2.2599 0.000
H -2.7783 2.5416 3.5129 0.000
H -4.0819 1.7944 -3.8847 0.000
H 5.7724 1.4708 -1.2095 0.000
O 1.1959 -4.5219 1.4695 0.010
H 5.4762 3.3323 -1.1968 0.000
H -5.8350 1.3794 -2.0829 0.000
H 2.6196 -1.9123 -1.1656 0.000
O 0.9025 -3.1203 3.8691 -0.001
O 0.4134 -1.8807 1.3850 0.012
H 2.9800 2.7455 -0.0679 0.000
C 3.9397 -4.7299 -1.2858 0.089
H 6.7517 0.5087 0.4858 0.000
H -1.4352 0.0028 2.0158 0.000
H -3.3557 0.3547 4.2125 0.000
C -1.4753 3.0535 -2.4375 0.000
C 5.1341 2.3123 -0.6800 0.000
C 3.2117 0.5100 -0.8444 0.000
H 1.1328 0.3986 0.3176 0.000
C -4.5935 2.7438 2.1441 0.000
C 1.5167 -3.7370 0.2531 0.113
H -4.0263 -1.2338 0.9448 0.000
H 3.3035 2.5894 -2.0104 0.000
H -1.0118 2.1029 -2.9521 0.000
P 1.9960 -4.8481 -1.2239 0.555
C 5.4849 2.4742 0.9285 0.000
H -4.5447 0.0023 2.7477 0.000
H -5.9247 1.0292 1.3998 0.000
H -2.6993 -1.0717 -1.1296 0.000
C -1.9500 -1.3016 -0.2296 0.000
H -5.2195 2.8644 3.1345 0.000
H 2.5407 -3.2214 0.5852 0.019
C -5.3943 1.9666 0.9403 0.000
O -1.0033 -3.9905 2.6158 0.000
H -5.3760 3.2374 -1.5952 0.000
H 3.6573 -0.0180 -1.8049 0.000
H 4.3600 -5.1561 -2.2912 -0.001
H -3.0191 1.1840 -2.3901 0.000
H -0.9753 -2.7277 -1.7284 0.000
H 2.0690 -4.3164 -3.4158 0.000
S 0.3794 -3.2967 2.3942 0.001
C -2.8869 -1.5242 1.1353 0.000
C -0.9662 -2.5985 -0.5425 0.001
H -0.8449 3.9754 -2.8161 0.000
C -4.9976 2.1447 -1.7825 0.000
H 1.0517 0.6766 -1.5570 0.000
H -2.3487 2.0630 1.7395 0.000
H -3.3217 2.1095 -0.2334 0.000
C -2.3706 -0.6265 2.4061 0.000
C 3.4932 2.1249 -0.9425 0.000
H -4.3264 3.8276 1.7290 0.000
H 7.5670 1.6907 1.7256 0.000
H -6.1972 2.7370 0.5209 0.000
C 0.5892 -2.3823 -0.0187 0.002
```

Spin multiplicity: 2
Total charge: +2
HOMO energy (alpha / beta) (eV): -13.166 / -13.166
Lowest unoccupied orbital energy (alpha / beta) (Ha): -0.308 / -0.384
Orbital gap (alpha / beta) (eV): 4.79 / 2.71

***

2.
The following is a DFT calculation (ωB97M-V/def2-TZVPD) of 2 unconnected molecules or ions with the total composition C22H45BrN3O4P2S in a non-equilibrium geometry.

```
78
Properties=species:S:1:pos:R:3:mulliken_charge:R:1
H 6.6816 -6.3071 -3.6958 0.250
C -7.1312 1.1544 -0.0529 -0.184
H -8.2226 0.1840 -1.6559 0.402
H 4.4219 3.1526 0.2868 0.444
O 5.1068 -6.2075 0.5687 -0.371
H 2.3123 4.4338 0.4933 0.342
H -8.0258 1.5841 0.4748 0.413
H 1.1843 1.5202 0.3625 0.293
C 4.2581 -0.7587 0.0312 -0.262
H 3.3956 -6.8541 1.4986 0.242
C -2.8274 2.2753 2.1380 -0.094
H 5.0761 -1.5089 -0.0759 0.173
H -4.6920 4.7708 -2.9621 0.159
C -4.7967 1.7231 -0.4623 -0.307
H 5.1145 -5.4806 -3.5952 0.272
H 1.8039 -4.5358 -1.5477 0.255
P -5.5926 3.7554 -2.5024 0.150
H -5.8050 2.1325 1.2588 0.382
H 4.3087 -0.0633 2.1773 0.356
C 2.4287 -4.9304 -0.7463 -0.606
H -8.1155 1.9449 -1.9054 0.218
H 2.6449 -0.2533 1.4418 -0.004
H -2.7111 0.2236 2.9120 0.404
C -3.2402 2.0468 -2.3392 -0.288
C 0.3503 3.0084 1.8193 -0.844
C 3.6384 3.0100 -0.4951 -0.915
C 3.7096 1.5300 -1.0767 -0.244
C 1.5353 2.3870 0.9802 -0.023
C -4.4979 2.4469 -1.7424 0.200
H -2.2555 2.2940 1.1814 0.009
C 3.6765 -0.6882 1.5000 -0.915
C -4.1551 0.1452 1.2482 -0.958
C -7.5199 1.0585 -1.5649 -1.088
H 3.7997 -7.7494 0.0089 0.335
........

1.
The following is a DFT calculation (ωB97M-V/def2-TZVPD) of a molecular structure, C22H45AgO6PS in a non-equilibrium geometry.

```
76
Properties=species:S:1:pos:R:3:lowdin_spin:R:1
C 1.5144 -1.5064 -1.0526 0.001
H -1.4535 -3.5895 -0.0936 0.000
H -1.2744 2.9618 -1.2862 0.000
C -3.6855 2.0773 -2.8170 0.000
H -1.2835 -0.3233 -0.1352 0.000
Ag 5.3028 -0.3222 -1.8025 0.001
H -1.9107 -1.3701 3.2166 0.000
H 3.7956 0.1285 0.1176 0.000
C -4.3956 1.6161 -0.3145 0.000
H -2.9137 -2.6830 1.4102 0.000
C 6.5211 1.2715 1.3661 0.000
C -3.4824 0.4050 3.0285 0.000
H 4.3076 -5.2817 -0.3215 -0.001
C -3.1827 1.9526 2.5587 0.000
H 4.1686 -3.5741 -1.1239 0.019
H -4.2530 0.4435 -0.4473 0.000
O -2.8829 3.3135 -2.7897 0.000
H 6.0257 3.4893 1.1454 0.000
H 4.4769 2.3876 1.5520 0.000
C 1.6336 0.0896 -0.6963 0.000
H 1.0157 -1.6197 -2.1281 0.000
O 1.3252 -4.2730 -2.7397 0.179
H 6.0513 0.6740 2.2599 0.000
H -2.7783 2.5416 3.5129 0.000
H -4.0819 1.7944 -3.8847 0.000
H 5.7724 1.4708 -1.2095 0.000
O 1.1959 -4.5219 1.4695 0.010
H 5.4762 3.3323 -1.1968 0.000
H -5.8350 1.3794 -2.0829 0.000
H 2.6196 -1.9123 -1.1656 0.000
O 0.9025 -3.1203 3.8691 -0.001
O 0.4134 -1.8807 1.3850 0.012
H 2.9800 2.7455 -0.0679 0.000
C 3.9397 -4.7299 -1.2858 0.089
H 6.7517 0.5087 0.4858 0.000
H -1.4352 0.0028 2.0158 0.000
H -3.3557 0.3547 4.2125 0.000
C -1.4753 3.0535 -2.4375 0.000
C 5.1341 2.3123 -0.6800 0.000
C 3.2117 0.5100 -0.8444 0.000
H 1.1328 0.3986 0.3176 0.000
C -4.5935 2.7438 2.1441 0.000
C 1.5167 -3.7370 0.2531 0.113
H -4.0263 -1.2338 0.9448 0.000
H 3.3035 2.5894 -2.0104 0.000
H -1.0118 2.1029 -2.9521 0.000
P 1.9960 -4.8481 -1.2239 0.555
C 5.4849 2.4742 0.9285 0.000
H -4.5447 0.0023 2.7477 0.000
H -5.9247 1.0292 1.3998 0.000
H -2.6993 -1.0717 -1.1296 0.000
C -1.9500 -1.3016 -0.2296 0.000
H -5.2195 2.8644 3.1345 0.000
H 2.5407 -3.2214 0.5852 0.019
C -5.3943 1.9666 0.9403 0.000
O -1.0033 -3.9905 2.6158 0.000
H -5.3760 3.2374 -1.5952 0.000
H 3.6573 -0.0180 -1.8049 0.000
H 4.3600 -5.1561 -2.2912 -0.001
H -3.0191 1.1840 -2.3901 0.000
H -0.9753 -2.7277 -1.7284 0.000
H 2.0690 -4.3164 -3.4158 0.000
S 0.3794 -3.2967 2.3942 0.001
C -2.8869 -1.5242 1.1353 0.000
C -0.9662 -2.5985 -0.5425 0.001
H -0.8449 3.9754 -2.8161 0.000
C -4.9976 2.1447 -1.7825 0.000
H 1.0517 0.6766 -1.5570 0.000
H -2.3487 2.0630 1.7395 0.000
H -3.3217 2.1095 -0.2334 0.000
C -2.3706 -0.6265 2.4061 0.000
C 3.4932 2.1249 -0.9425 0.000
H -4.3264 3.8276 1.7290 0.000
H 7.5670 1.6907 1.7256 0.000
H -6.1972 2.7370 0.5209 0.000
C 0.5892 -2.3823 -0.0187 0.002
```

Spin multiplicity: 2
Total charge: +2
HOMO energy (alpha / beta) (eV): -13.166 / -13.166
Lowest unoccupied orbital energy (alpha / beta) (Ha): -0.308 / -0.384
Orbital gap (alpha / beta) (eV): 4.79 / 2.71

***

2.
The following is a DFT calculation (ωB97M-V/def2-TZVPD) of 2 unconnected molecules or ions with the total composition C22H45BrN3O4P2S in a non-equilibrium geometry.

```
78
Properties=species:S:1:pos:R:3:mulliken_charge:R:1
H 6.6816 -6.3071 -3.6958 0.250
C -7.1312 1.1544 -0.0529 -0.184
H -8.2226 0.1840 -1.6559 0.402
H 4.4219 3.1526 0.2868 0.444
O 5.1068 -6.2075 0.5687 -0.371
H 2.3123 4.4338 0.4933 0.342
H -8.0258 1.5841 0.4748 0.413
H 1.1843 1.5202 0.3625 0.293
C 4.2581 -0.7587 0.0312 -0.262
H 3.3956 -6.8541 1.4986 0.242
C -2.8274 2.2753 2.1380 -0.094
H 5.0761 -1.5089 -0.0759 0.173
H -4.6920 4.7708 -2.9621 0.159
C -4.7967 1.7231 -0.4623 -0.307
H 5.1145 -5.4806 -3.5952 0.272
H 1.8039 -4.5358 -1.5477 0.255
P -5.5926 3.7554 -2.5024 0.150
H -5.8050 2.1325 1.2588 0.382
H 4.3087 -0.0633 2.1773 0.356
C 2.4287 -4.9304 -0.7463 -0.606
H -8.1155 1.9449 -1.9054 0.218
H 2.6449 -0.2533 1.4418 -0.004
H -2.7111 0.2236 2.9120 0.404
C -3.2402 2.0468 -2.3392 -0.288
C 0.3503 3.0084 1.8193 -0.844
C 3.6384 3.0100 -0.4951 -0.915
C 3.7096 1.5300 -1.0767 -0.244
C 1.5353 2.3870 0.9802 -0.023
C -4.4979 2.4469 -1.7424 0.200
H -2.2555 2.2940 1.1814 0.009
C 3.6765 -0.6882 1.5000 -0.915
C -4.1551 0.1452 1.2482 -0.958
C -7.5199 1.0585 -1.5649 -1.088
H 3.7997 -7.7494 0.0089 0.335